- - -
Density functional theory data (PBE+U) for NiPbNF2 after structural relaxation.

Lattice parameters (Å, degrees): 3.9679 3.9679 4.2333 90.00 90.00 90.00
Site moments in Bohr magnetons follow the coordinates.
Atoms (fractional coordinates):
Pb  0.5000  0.5000  0.5000  0.03
F  0.0000  0.5000  0.0000  0.05
Ni  0.0000  0.0000  0.0000  1.78
N  0.0000  0.0000  0.5000  0.54
F  0.5000  0.0000  0.0000  0.05

Summary:
As for the calculated total energy: -4.4498 eV per atom. For the relative energy among the computed polymorphs, the calculation gives 0.000 eV per formula unit. The calculation puts the density of states at the Fermi level at 1.48 states/eV/f.u.

=====

Entry 1:
Cr2CdAsO6: relaxed, PBE with a Hubbard U.

SG ... No. 1
Density of states at the Fermi level ... 0.02 states/eV per atom
Energy ... -6.4921 eV/atom
M_tot ... 7.0 μB/f.u.

a = 5.1586 Å, b = 5.2135 Å, c = 5.5764 Å
α = 65.35°, β = 89.25°, γ = 60.81°
With the nearest neighbours (Å) after each atom.
Element x y z (fractional)
Cr 0.0000 0.0000 0.0000  4 O 2.06-2.20
Cr 0.4981 0.0295 0.4530  6 O 1.99-2.06
Cd 0.2720 0.4720 0.8266  3 O 2.18-2.23
As 0.8147 0.3971 0.4082  6 O 1.84-1.95
O 0.0873 0.2118 0.2150  1 As 1.89, 2 Cr 2.05-2.11
O 0.1898 0.1956 0.6643  1 As 1.93, 1 Cr 2.03
O 0.4719 0.4724 0.2211  1 As 1.84, 1 Cr 2.06
O 0.6189 0.5560 0.6464  1 As 1.88, 1 Cr 1.99
O 0.7477 0.8240 0.2236  1 As 1.87, 2 Cr 2.05-2.06
O 0.8498 0.9794 0.6604  1 As 1.95, 2 Cr 2.01-2.12



Entry 2:
Cr2CdAsO8: relaxed, PBE with a Hubbard U.

SG ... No. 12
Density of states at the Fermi level ... 0.39 states/eV per atom
Energy ... -6.1765 eV/atom
M_tot ... 3.0 μB/f.u.

a = 4.5877 Å, b = 4.5877 Å, c = 6.2027 Å
α = 90.41°, β = 90.41°, γ = 88.14°
With the nearest neighbours (Å) after each atom.
Element x y z (fractional)
Cr 0.0062 0.0062 0.2468  6 O 1.85-2.04
Cr 0.9938 0.9938 0.7532  6 O 1.85-2.04
Cd 0.5000 0.5000 0.5000  6 O 2.17-2.19
As 0.5000 0.5000 0.0000  6 O 1.83-1.95
O 0.1716 0.1716 0.4902  2 Cr 1.85-2.02
O 0.2042 0.2042 0.9963  1 As 1.95, 2 Cr 2.04
O 0.2969 0.6963 0.2128  1 As 1.83, 1 Cr 1.93
O 0.3037 0.7031 0.7872  1 As 1.83, 1 Cr 1.93
O 0.6963 0.2969 0.2128  1 As 1.83, 1 Cr 1.93
O 0.7031 0.3037 0.7872  1 As 1.83, 1 Cr 1.93
O 0.7958 0.7958 0.0037  1 As 1.95, 2 Cr 2.04
O 0.8284 0.8284 0.5098  2 Cr 1.85-2.02



Q: density of states at the Fermi level of number 2 (Cr2CdAsO8)?
A: 0.39 states/eV per atom



Copy entry 1 word for word.
Cr2CdAsO6: relaxed, PBE with a Hubbard U.

SG ... No. 1
Density of states at the Fermi level ... 0.02 states/eV per atom
Energy ... -6.4921 eV/atom
M_tot ... 7.0 μB/f.u.

a = 5.1586 Å, b = 5.2135 Å, c = 5.5764 Å
α = 65.35°, β = 89.25°, γ = 60.81°
With the nearest neighbours (Å) after each atom.
Element x y z (fractional)
Cr 0.0000 0.0000 0.0000  4 O 2.06-2.20
Cr 0.4981 0.0295 0.4530  6 O 1.99-2.06
Cd 0.2720 0.4720 0.8266  3 O 2.18-2.23
As 0.8147 0.3971 0.4082  6 O 1.84-1.95
O 0.0873 0.2118 0.2150  1 As 1.89, 2 Cr 2.05-2.11
O 0.1898 0.1956 0.6643  1 As 1.93, 1 Cr 2.03
O 0.4719 0.4724 0.2211  1 As 1.84, 1 Cr 2.06
O 0.6189 0.5560 0.6464  1 As 1.88, 1 Cr 1.99
O 0.7477 0.8240 0.2236  1 As 1.87, 2 Cr 2.05-2.06
O 0.8498 0.9794 0.6604  1 As 1.95, 2 Cr 2.01-2.12



Q: Which value of M_tot does entry 1 give?
A: 7.0 μB/f.u.



Q: Among the records above, which one has the highest density of states at the Fermi level?
A: Cr2CdAsO8
- - -

It remains to copy every line further above that contains the word "No".

SG ... No. 1
SG ... No. 12
SG ... No. 1